== Source ==
~~~
Structure and calculated X-ray powder pattern of Tl2Ga2Cl7 (a cell relaxed with PBE; a wavelength of 1.5418 Å).

Structural model:
```
data_Tl2Ga2Cl7
_space_group_name_H-M_alt 'C 1 2/m 1'
_space_group_IT_number 12
_space_group_name_Hall '-C 2y'
_cell_length_a 10.217
_cell_length_b 12.260
_cell_length_c 6.563
_cell_angle_alpha 90.00
_cell_angle_beta 100.50
_cell_angle_gamma 90.00
loop_
_atom_site_label
_atom_site_fract_x
_atom_site_fract_y
_atom_site_fract_z
_atom_site_occupancy
Tl1 0.000 0.207 0.000 1
Ga1 0.224 0.500 0.429 1
Cl1 0.000 0.500 0.500 1
Cl2 0.125 0.000 0.269 1
Cl3 0.242 0.151 0.754 1
```

Largest 10 diffraction maxima, low angle first, 10 to 80 degrees two-theta:
d (Å), 2theta, I_rel
4.652, 19.08, 27.0
4.444, 19.98, 100.0
4.368, 20.33, 55.3
3.885, 22.89, 40.7
3.785, 23.50, 22.4
3.171, 28.14, 21.2
3.139, 28.44, 20.2
2.674, 33.51, 24.6
2.512, 35.75, 41.5
2.378, 37.83, 27.6
~~~

== Activity ==
The reader should reproduce only the last part of the block above, starting with the line that has "diffraction maxima,".

== Here it is ==
Largest 10 diffraction maxima, low angle first, 10 to 80 degrees two-theta:
d (Å), 2theta, I_rel
4.652, 19.08, 27.0
4.444, 19.98, 100.0
4.368, 20.33, 55.3
3.885, 22.89, 40.7
3.785, 23.50, 22.4
3.171, 28.14, 21.2
3.139, 28.44, 20.2
2.674, 33.51, 24.6
2.512, 35.75, 41.5
2.378, 37.83, 27.6